_Given_
........
No. 1
VASP calculation (PBE-GGA) on an optimized crystal structure of Ca3Cu3As4O16.

Cell: 9.2721 5.1460 16.9195 Å, 90.00 116.69 90.00°
Atoms (fractional coordinates):
Ca: 0.0000 0.0000 0.0000
Ca: 0.0000 0.5000 0.5000
Ca: 0.3032 0.0318 0.2672
Ca: 0.3032 0.4682 0.7672
Ca: 0.6968 0.5318 0.2328
Ca: 0.6968 0.9682 0.7328
Cu: 0.2095 0.5265 0.3811
Cu: 0.2095 0.9735 0.8811
Cu: 0.5000 0.0000 0.5000
Cu: 0.5000 0.5000 0.0000
Cu: 0.7905 0.0265 0.1189
Cu: 0.7905 0.4735 0.6189
As: 0.0396 0.5077 0.1597
As: 0.0396 0.9923 0.6597
As: 0.4360 0.5069 0.5936
As: 0.4360 0.9931 0.0936
As: 0.5640 0.0069 0.9064
As: 0.5640 0.4931 0.4064
As: 0.9604 0.0077 0.3403
As: 0.9604 0.4923 0.8403
O: 0.0387 0.6612 0.6436
O: 0.0387 0.8388 0.1436
O: 0.1065 0.1619 0.5971
O: 0.1065 0.3381 0.0971
O: 0.1457 0.5941 0.8498
O: 0.1457 0.9059 0.3498
O: 0.1911 0.0559 0.7667
O: 0.1911 0.4441 0.2667
O: 0.2519 0.5648 0.5043
O: 0.2519 0.9352 0.0043
O: 0.4193 0.1970 0.9225
O: 0.4193 0.3030 0.4225
O: 0.4392 0.6126 0.6887
O: 0.4392 0.8874 0.1887
O: 0.4988 0.6871 0.8986
O: 0.4988 0.8129 0.3986
O: 0.5012 0.1871 0.6014
O: 0.5012 0.3129 0.1014
O: 0.5608 0.1126 0.8113
O: 0.5608 0.3874 0.3113
O: 0.5807 0.6970 0.5775
O: 0.5807 0.8030 0.0775
O: 0.7481 0.0648 0.9957
O: 0.7481 0.4352 0.4957
O: 0.8089 0.5559 0.7333
O: 0.8089 0.9441 0.2333
O: 0.8543 0.0941 0.6502
O: 0.8543 0.4059 0.1502
O: 0.8935 0.6619 0.9029
O: 0.8935 0.8381 0.4029
O: 0.9613 0.1612 0.8564
O: 0.9613 0.3388 0.3564

* SG: P2_1/c


No. 2
VASP calculation (PBE-GGA) on an optimized crystal structure of CaAs3F15.

Cell: 10.3174 10.6844 22.1113 Å, 90.02 90.00 90.00°
Atoms (fractional coordinates):
Ca: 0.0000 0.0000 0.0000
Ca: 0.9998 0.0012 0.4985
Ca: 0.0000 0.5003 0.6194
Ca: 0.0000 0.5043 0.1192
Ca: 0.5000 0.2609 0.7491
Ca: 0.5001 0.2685 0.2495
Ca: 0.5001 0.7590 0.3720
Ca: 0.4999 0.7615 0.8690
As: 0.0000 0.8766 0.1796
As: 0.2432 0.0643 0.8547
As: 0.2431 0.5660 0.2632
As: 0.2436 0.5644 0.7629
As: 0.2446 0.0641 0.3543
As: 0.2564 0.6969 0.5130
As: 0.2566 0.1974 0.1053
As: 0.2570 0.1971 0.6046
As: 0.2576 0.6970 0.0128
As: 0.4801 0.3824 0.4327
As: 0.4803 0.3830 0.9323
As: 0.4804 0.8827 0.6854
As: 0.5002 0.8780 0.1791
As: 0.7433 0.1976 0.1050
As: 0.7433 0.1977 0.6046
As: 0.7426 0.6973 0.0126
As: 0.7440 0.6975 0.5131
As: 0.7557 0.0644 0.3541
As: 0.7572 0.0649 0.8548
As: 0.7567 0.5650 0.7629
As: 0.7568 0.5663 0.2629
As: 0.9801 0.3793 0.4352
As: 0.9803 0.3791 0.9355
As: 0.9802 0.8792 0.6823
F: 0.9998 0.7109 0.1602
F: 0.9999 0.9316 0.1014
F: 0.0075 0.2192 0.4560
F: 0.0075 0.7192 0.6612
F: 0.0075 0.2190 0.9565
F: 0.0090 0.4308 0.0119
F: 0.0092 0.4308 0.5117
F: 0.0093 0.9307 0.6058
F: 0.1413 0.4959 0.7058
F: 0.1412 0.9960 0.9116
F: 0.1434 0.4965 0.2060
F: 0.1426 0.9957 0.4114
F: 0.1459 0.6976 0.2702
F: 0.1481 0.1988 0.8495
F: 0.1481 0.6987 0.7678
F: 0.1494 0.1987 0.3493
F: 0.1511 0.1324 0.5478
F: 0.1509 0.6322 0.5696
F: 0.1525 0.1325 0.0483
F: 0.1528 0.3321 0.6089
F: 0.1526 0.6329 0.0695
F: 0.1526 0.8320 0.5086
F: 0.1543 0.4892 0.8188
F: 0.1543 0.9892 0.7986
F: 0.1548 0.3341 0.1085
F: 0.1547 0.8320 0.0085
F: 0.1564 0.9888 0.2984
F: 0.1566 0.4878 0.3193
F: 0.1629 0.1341 0.1630
F: 0.1640 0.1291 0.6620
F: 0.1642 0.6290 0.4554
F: 0.1648 0.6290 0.9554
F: 0.1858 0.8715 0.1742
F: 0.3123 0.3920 0.4223
F: 0.3123 0.3921 0.9222
F: 0.3123 0.8921 0.6952
F: 0.3383 0.6291 0.7050
F: 0.3380 0.6338 0.2059
F: 0.3385 0.1292 0.9124
F: 0.3397 0.1287 0.4120
F: 0.3444 0.2744 0.5484
F: 0.3443 0.7743 0.5690
F: 0.3465 0.2723 0.0491
F: 0.3471 0.4286 0.7595
F: 0.3471 0.9286 0.8578
F: 0.3479 0.7740 0.0687
F: 0.3488 0.4313 0.2593
F: 0.3494 0.9282 0.3571
F: 0.3503 0.1293 0.7980
F: 0.3505 0.6294 0.8194
F: 0.3524 0.1292 0.2974
F: 0.3518 0.6309 0.3197
F: 0.3543 0.0632 0.1005
F: 0.3555 0.0649 0.5982
F: 0.3561 0.5646 0.0189
F: 0.3555 0.5650 0.5190
F: 0.3594 0.2651 0.6615
F: 0.3591 0.7655 0.4561
F: 0.3600 0.7650 0.9557
F: 0.3614 0.2648 0.1622
F: 0.4997 0.0341 0.2025
F: 0.5000 0.8276 0.2543
F: 0.5075 0.0428 0.7061
F: 0.5077 0.5424 0.4116
F: 0.5075 0.5427 0.9111
........

_Activity_
The reader should duplicate only the last part of the entries further above, starting with the line that has "0.0971".

_Outcome_
O: 0.1065 0.3381 0.0971
O: 0.1457 0.5941 0.8498
O: 0.1457 0.9059 0.3498
O: 0.1911 0.0559 0.7667
O: 0.1911 0.4441 0.2667
O: 0.2519 0.5648 0.5043
O: 0.2519 0.9352 0.0043
O: 0.4193 0.1970 0.9225
O: 0.4193 0.3030 0.4225
O: 0.4392 0.6126 0.6887
O: 0.4392 0.8874 0.1887
O: 0.4988 0.6871 0.8986
O: 0.4988 0.8129 0.3986
O: 0.5012 0.1871 0.6014
O: 0.5012 0.3129 0.1014
O: 0.5608 0.1126 0.8113
O: 0.5608 0.3874 0.3113
O: 0.5807 0.6970 0.5775
O: 0.5807 0.8030 0.0775
O: 0.7481 0.0648 0.9957
O: 0.7481 0.4352 0.4957
O: 0.8089 0.5559 0.7333
O: 0.8089 0.9441 0.2333
O: 0.8543 0.0941 0.6502
O: 0.8543 0.4059 0.1502
O: 0.8935 0.6619 0.9029
O: 0.8935 0.8381 0.4029
O: 0.9613 0.1612 0.8564
O: 0.9613 0.3388 0.3564

* SG: P2_1/c


No. 2
VASP calculation (PBE-GGA) on an optimized crystal structure of CaAs3F15.

Cell: 10.3174 10.6844 22.1113 Å, 90.02 90.00 90.00°
Atoms (fractional coordinates):
Ca: 0.0000 0.0000 0.0000
Ca: 0.9998 0.0012 0.4985
Ca: 0.0000 0.5003 0.6194
Ca: 0.0000 0.5043 0.1192
Ca: 0.5000 0.2609 0.7491
Ca: 0.5001 0.2685 0.2495
Ca: 0.5001 0.7590 0.3720
Ca: 0.4999 0.7615 0.8690
As: 0.0000 0.8766 0.1796
As: 0.2432 0.0643 0.8547
As: 0.2431 0.5660 0.2632
As: 0.2436 0.5644 0.7629
As: 0.2446 0.0641 0.3543
As: 0.2564 0.6969 0.5130
As: 0.2566 0.1974 0.1053
As: 0.2570 0.1971 0.6046
As: 0.2576 0.6970 0.0128
As: 0.4801 0.3824 0.4327
As: 0.4803 0.3830 0.9323
As: 0.4804 0.8827 0.6854
As: 0.5002 0.8780 0.1791
As: 0.7433 0.1976 0.1050
As: 0.7433 0.1977 0.6046
As: 0.7426 0.6973 0.0126
As: 0.7440 0.6975 0.5131
As: 0.7557 0.0644 0.3541
As: 0.7572 0.0649 0.8548
As: 0.7567 0.5650 0.7629
As: 0.7568 0.5663 0.2629
As: 0.9801 0.3793 0.4352
As: 0.9803 0.3791 0.9355
As: 0.9802 0.8792 0.6823
F: 0.9998 0.7109 0.1602
F: 0.9999 0.9316 0.1014
F: 0.0075 0.2192 0.4560
F: 0.0075 0.7192 0.6612
F: 0.0075 0.2190 0.9565
F: 0.0090 0.4308 0.0119
F: 0.0092 0.4308 0.5117
F: 0.0093 0.9307 0.6058
F: 0.1413 0.4959 0.7058
F: 0.1412 0.9960 0.9116
F: 0.1434 0.4965 0.2060
F: 0.1426 0.9957 0.4114
F: 0.1459 0.6976 0.2702
F: 0.1481 0.1988 0.8495
F: 0.1481 0.6987 0.7678
F: 0.1494 0.1987 0.3493
F: 0.1511 0.1324 0.5478
F: 0.1509 0.6322 0.5696
F: 0.1525 0.1325 0.0483
F: 0.1528 0.3321 0.6089
F: 0.1526 0.6329 0.0695
F: 0.1526 0.8320 0.5086
F: 0.1543 0.4892 0.8188
F: 0.1543 0.9892 0.7986
F: 0.1548 0.3341 0.1085
F: 0.1547 0.8320 0.0085
F: 0.1564 0.9888 0.2984
F: 0.1566 0.4878 0.3193
F: 0.1629 0.1341 0.1630
F: 0.1640 0.1291 0.6620
F: 0.1642 0.6290 0.4554
F: 0.1648 0.6290 0.9554
F: 0.1858 0.8715 0.1742
F: 0.3123 0.3920 0.4223
F: 0.3123 0.3921 0.9222
F: 0.3123 0.8921 0.6952
F: 0.3383 0.6291 0.7050
F: 0.3380 0.6338 0.2059
F: 0.3385 0.1292 0.9124
F: 0.3397 0.1287 0.4120
F: 0.3444 0.2744 0.5484
F: 0.3443 0.7743 0.5690
F: 0.3465 0.2723 0.0491
F: 0.3471 0.4286 0.7595
F: 0.3471 0.9286 0.8578
F: 0.3479 0.7740 0.0687
F: 0.3488 0.4313 0.2593
F: 0.3494 0.9282 0.3571
F: 0.3503 0.1293 0.7980
F: 0.3505 0.6294 0.8194
F: 0.3524 0.1292 0.2974
F: 0.3518 0.6309 0.3197
F: 0.3543 0.0632 0.1005
F: 0.3555 0.0649 0.5982
F: 0.3561 0.5646 0.0189
F: 0.3555 0.5650 0.5190
F: 0.3594 0.2651 0.6615
F: 0.3591 0.7655 0.4561
F: 0.3600 0.7650 0.9557
F: 0.3614 0.2648 0.1622
F: 0.4997 0.0341 0.2025
F: 0.5000 0.8276 0.2543
F: 0.5075 0.0428 0.7061
F: 0.5077 0.5424 0.4116
F: 0.5075 0.5427 0.9111